Activity
Now search the rows further down for the word "up" and give back each line that has it.

Listing
Density functional theory data (ωB97M-V/def2-TZVPD) for a cluster of 2 separate species, C2H2F2I2O in total at a distorted geometry.

```
9
Properties=species:S:1:pos:R:3:forces:R:3:lowdin_charge:R:1
C -1.2950 -0.0880 0.6422 0.37 1.18 2.91 -0.86
C 1.0174 1.7152 1.5139 -1.37 0.54 2.04 -0.45
O -0.9021 -1.1523 0.3400 -0.03 -0.04 -0.20 -0.04
F 1.9429 1.2229 2.3452 -0.22 1.08 -0.62 -0.02
F 1.0127 3.0744 1.6558 0.89 -1.41 0.06 -0.06
I -2.2768 1.3026 -0.6126 -0.27 0.22 -0.52 0.73
I 1.8625 1.2845 -0.8061 0.69 0.29 -1.57 0.82
H -1.1838 0.4490 1.7163 -0.20 -1.43 -2.17 0.08
H 1.2095 2.7533 -1.0609 0.13 -0.44 0.05 -0.20
```
Positions in Å, forces in eV/Å.

ΔE to the lowest compared entry with this formula, charge and spin: 79.8 kcal per mole
2S+1: 1
Kohn-Sham gap: 8.64 eV
HOMO: -9.00 eV

=====

2 unconnected molecules or ions with the total composition C2H7N6S, computed with the ωB97M-V functional and the def2-TZVPD basis.

The geometry in ORCA input format:
```
! wB97M-V def2-TZVPD RIJCOSX def2/J DEFGRID3
* xyz 1 1
C -1.24894 0.93926 0.36426
C 1.15827 1.13525 -0.02748
N -1.87719 2.03108 -0.02303
N -2.46594 2.93181 -0.35318
N 0.05116 0.71224 0.61239
N -2.19214 -2.15619 -0.78310
N 2.23055 0.54926 0.46059
N 3.34599 0.28773 -0.27803
S -2.60478 -0.09285 0.83263
H -0.03294 -0.17630 1.22318
H -2.92720 -2.61693 -1.31898
H -1.30920 -1.94009 -1.21009
H 2.30902 0.13131 1.44371
H -2.14615 -2.54140 0.18150
H 3.51971 0.80311 -1.19642
H 4.18980 0.00271 0.07203
*
```

The value obtained for the relative energy (zero: lowest compared OMol25 entry of this formula, charge and spin) is 3.4027 eV. As for the lowest unoccupied orbital energy (spin up / spin down): -6.27 / -6.05 eV. The orbital gap (spin up / spin down) is 5.6 / 6.1 eV. As for the HOMO energy (spin up / spin down): -11.9 / -12.1 eV.



C4H9NO in the gas phase, computed with the ωB97M-V functional and the def2-TZVPD basis.

The geometry in ORCA input format:
```
! wB97M-V def2-TZVPD RIJCOSX def2/J DEFGRID3
* xyz 0 1
C 2.28791 -0.23747 0.56939
C 1.29890 0.64688 -0.20511
C -0.11178 -0.05465 -0.01988
O -0.17804 -1.08581 0.63693
N -1.28665 0.41650 -0.52486
C -2.50765 -0.32900 -0.20577
H 1.66495 -1.03944 0.97713
H 3.04264 -0.69442 -0.06901
H 2.77924 0.26844 1.40103
H 1.28410 1.68337 0.16360
H 1.55858 0.76007 -1.26993
H -1.33369 1.24032 -1.10151
H -3.37276 0.22226 -0.57718
H -2.51070 -1.33264 -0.65133
H -2.61507 -0.46441 0.87650
*
```

The value obtained for the relative energy (zero: lowest compared OMol25 entry of this formula, charge and spin) is 0.7405 eV. As for the SMILES: CCC(=O)NC. As for the lowest unoccupied orbital energy: 0.94 eV. The orbital gap is 10.6 eV. As for the HOMO energy: -9.7 eV.



A molecular structure, C40H31AlFNO8SSi, computed with the ωB97M-V functional and the def2-TZVPD basis.

The geometry in ORCA input format:
```
! wB97M-V def2-TZVPD RIJCOSX def2/J DEFGRID3
* xyz -2 1
Al 1.04176 -0.27584 0.87512
O 0.30662 0.99663 4.28206
S 0.38653 1.06558 2.83906
O -0.11746 2.35355 2.35244
O -0.39888 -0.07658 2.20414
O 1.76550 0.80035 2.31859
C -1.60464 -7.28491 1.47765
C -2.50007 -6.32608 0.70250
C -3.91121 -6.32685 1.28501
C -4.81855 -5.47017 0.41549
C -4.23264 -4.09255 0.25671
C -5.05101 -3.00680 0.02115
C -4.50950 -1.73509 -0.11738
F -5.36460 -0.71203 -0.31665
C -3.16041 -1.51882 -0.07236
C -2.31808 -2.61152 0.15436
C -0.87066 -2.37751 0.20118
O -0.37009 -1.33868 -0.23369
C -0.11440 -3.45816 0.76407
C -0.67741 -4.67084 0.93012
N -1.98922 -4.95124 0.67727
C -2.84285 -3.90053 0.35596
C 1.31049 -3.19976 1.23665
O 2.05653 -4.16833 1.36669
O 1.54069 -1.98577 1.50716
H -2.09450 -8.25732 1.52741
H -1.43616 -6.92572 2.49367
H -0.64063 -7.42748 0.99192
H -2.55840 -6.68351 -0.33477
H -3.87026 -5.92702 2.30177
H -4.28617 -7.35074 1.32985
H -5.82021 -5.39759 0.84262
H -4.91653 -5.94442 -0.56698
H -6.12474 -3.13606 -0.03720
H -2.71907 -0.53398 -0.17602
H -0.04886 -5.46869 1.29473
O 0.43313 1.08459 -0.13180
Si -0.03673 2.60516 -0.25505
C -1.91042 3.02332 -0.14501
C -2.47644 4.06009 -0.88661

Solution
The value obtained for the relative energy (zero: lowest compared OMol25 entry of this formula, charge and spin) is 3.4027 eV. As for the lowest unoccupied orbital energy (spin up / spin down): -6.27 / -6.05 eV. The orbital gap (spin up / spin down) is 5.6 / 6.1 eV. As for the HOMO energy (spin up / spin down): -11.9 / -12.1 eV.